
When you factor in the number of pre-pubescent girls, post-menopausal women, and lesbians in the population, each fertile hetero woman is going to have to have triplets, maybe quadruplets (No, I'm not going to pore over the demographics of Moscow and do the math).

It's easy to mock, but what were they supposed to do? Teddy Pendergrass, Luther Vandross, Isaac Hayes and Barry White are all dead.

Next to the entry, the page also holds data records:
- - -
19
Lattice="4.8803 2.8176 3.8998 -4.8803 2.8176 3.8998 0.0000 -5.6352 3.8998" Properties=species:S:1:pos:R:3 comment="AgPd12Au6 PBE relaxed" dos_ef_per_ev_fu=30.5 e_tot_ev_per_atom=-4.386 vol_a3_per_cell=322 pbc="T T T"
Ag 0.0000 0.0000 0.0000
Pd -1.6012 0.3354 2.2434
Pd 0.5102 -1.5544 2.2434
Pd -1.7157 -0.5343 4.7982
Pd 1.0911 1.2190 2.2434
Pd -0.3952 -1.7530 6.9012
Pd 1.3205 -1.2187 4.7982
Pd -1.3205 1.2187 6.9012
Pd 0.3952 1.7530 4.7982
Pd -1.0911 -1.2190 9.4559
Pd 1.7157 0.5343 6.9012
Pd -0.5102 1.5544 9.4559
Pd 1.6012 -0.3354 9.4559
Au -0.7535 -3.0208 4.3856
Au -2.9928 -0.8578 7.3138
Au -2.2393 2.1629 4.3856
Au 2.2393 -2.1629 7.3138
Au 2.9928 0.8579 4.3856
Au 0.7535 3.0208 7.3138
- - -
So much for the data records:

You'd be amazed how much effort brands like Maxwell House or Folgers or Lipton put into finding and blending and processing coffee and tea to make sure it's consistent. It's mediocre, but it's always the same mediocrity.

Does Giz need a giant flashing sarcasm tag of some kind? I thought "at least once a never" was enough of a clue.

Srsly. They haven't come up with a big, game-changing new product in almost three years! Most tech companies have big ideas like that at least once a never.

I don't see colors for the iPad. Between three wireless options (WiFi-only, GSM, CDMA), three capacities (maybe 32, 64 and 128 by the next generation), two sizes and two colors, that's 36 models; each color added to the lineup adds another 18.

The dev team and their kin decided a while ago to skip 6.0. They didn't want to burn an exploit just to have it nailed shut in 6.1.

I'd be down with ditching e-mail if there were something to replace it with. Replacing an open universal standard with a hodgepodge of proprietary systems on closed networks isn't it. I don't consider it an improvement if a message I need to refer to is on Twitter, Facebook, LinkedIn, SMS, or any of the plethora of

Both. The deadpan seriousness of the joke at the bottom of the card reminds me of Mark Twain.

My favorite is the campaign for a popular and critically acclaimed HBO series. "[female friend] likes Girls" pops up every now and then.

Um, today's close is higher than AAPL hit at any point when Jobs was alive.

1) It's Kansas City, not Kansas.

Java ≠ javascript.

PART of its cash hoard? AAPL's market cap is $476 billion as of today's close. Stock buybacks are usually at a premium over market price, so Apple would have to spend two and a half times the most generous estimate of its big pile of money to go private.

So do you plan to edify us, or did you just come here to shit on the other commenters and then leave?

Mensa always kind of struck me as a lot like a fraternity, a group people join so they can have a group to belong to. I enjoy the company of smart people, but it's not like they're rare or hard to find, and I'd rather find a group of smart people who read and discuss books, or politics, or whatever they have in common

That's great, because I'm always using all my voice minutes while I have half a years worth of data that's rolled over from month to month.

The math doesn't work. He was 16 when he wrote the paper in 2008, and he's 19 now?

I miss that bad boy. You know what I don't miss? Transferring 1" reel tapes to one of those.

A TI printing calculator. If I didn't bring in my own gadgets, the newest technology in the shop would be the c. 1990 CD player.